SB1035,22,1915 4. A registration fee in an amount determined by the department but not to
16exceed $150, except that for an applicant who is a recipient of medical assistance
17under subch. IV of ch. 49, is receiving benefits under the federal social security
18disability insurance program under 42 USC 423 or the federal supplemental security
19income program under 42 USC 1381, or is a veteran, the fee shall be $50.
SB1035,22,2220 (ac) A person who is at least 21 years of age may apply for a registry
21identification card as a primary caregiver by submitting to the department all of the
SB1035,22,2423 1. A signed application form that contains the applicant's name, address, and
24date of birth.
12. A copy of a written certification or copy of a registration identification card
2for each qualifying patient for whom the applicant will be the primary caregiver.
SB1035,23,33 3. A registration fee of $250.
SB1035,23,74 (b) The department shall promulgate rules specifying how a parent, guardian,
5or person having legal custody of a child may apply for a registry identification card
6for the child and the circumstances under which the department may approve or
7deny the application.
SB1035,23,11 8(3) Processing the application. The department shall verify the information
9the applicant submitted under sub. (2) (a) or (ac) and shall approve or deny the
10application within 30 days after receiving it. The department may deny an
11application submitted under sub. (2) (a) or (ac) only if any of the following applies:
SB1035,23,1312 (a) The applicant did not provide the required information or provided false
SB1035,23,1514 (b) The department is required to deny the application under the rules
15promulgated under sub. (2) (b).
SB1035,23,20 16(4) Issuing a registry identification card. The department shall issue an
17applicant a registry identification card within 5 days after approving the application
18under sub. (3). Unless voided under sub. (5) (b) or (c) or revoked under rules
19promulgated under sub. (7) (d), a registry identification card expires 2 years from the
20date of issuance. A registry identification card shall contain all of the following:
SB1035,23,2121 (a) The name, address, and date of birth of all of the following:
SB1035,23,2222 1. The registrant.
SB1035,23,2323 2. Each primary caregiver, if the registrant is a qualifying patient.
SB1035,23,2424 3. Each qualifying patient, if the registrant is a primary caregiver.
SB1035,23,2525 (b) The date of issuance and expiration date of the registry identification card.
1(c) A photograph of the registrant.
SB1035,24,22 (d) Other information the department may require by rule.
SB1035,24,3 3(4m) Annual fee. Primary caregivers shall pay an annual fee of $250.
SB1035,24,13 4(5) Additional information to be provided by registrant. (a) 1. An adult
5registrant shall notify the department of any change in the registrant's name and
6address. An adult registrant who is a qualifying patient shall notify the department
7of any change in his or her practitioner, of any significant improvement in his or her
What comes next are records of molecules, not part of the piece =
-- begin --
Entry 1:
Density functional theory data (ωB97M-V with the def2-TZVPD basis set) for C13H19ClN2O3Tc as an isolated structure at a distorted geometry.

Its spin multiplicity is 4. As for the energy: -1382.3063 Ha. The calculation puts the LUMO energy (spin up / spin down) at -0.2774 / -0.3872 Ha. Its total charge is +2. As for the expectation value of S²: 3.778. For the HOMO-LUMO gap (spin up / spin down), the calculation gives 8.42 / 5.36 eV. The HOMO energy (spin up / spin down) is -16.0 / -15.9 eV. As for the maximum force: 5.6 eV Å⁻¹.

Each line ends with the Mulliken charge.
Positions of all 39 atoms, in Å:
Cl 0.39174 0.06434 -4.41569  -0.057
C 3.06129 -1.05571 -0.52688  0.075
C 2.77258 -0.06297 0.44514  -0.462
C 2.55459 1.20197 -0.24192  -0.555
H 2.71527 -0.21316 1.51943  0.456
C 2.76713 0.96185 -1.67395  0.475
C 2.86307 -0.47604 -1.83923  -0.645
H 2.98471 -0.96878 -2.80669  0.584
H 3.37795 -2.07616 -0.33837  0.538
H 2.31724 2.16978 0.19961  0.513
C 2.98414 2.01792 -2.70822  -1.203
Tc 0.86099 0.22444 -1.08551  1.104
C -0.03517 1.59128 -2.12717  0.121
O -0.62775 2.41531 -2.68869  -0.141
C 0.10173 -1.24281 -2.18670  0.167
O -0.42619 -2.15516 -2.67094  -0.154
H 2.33117 2.87170 -2.48595  0.316
H 2.74628 1.63109 -3.70692  0.322
H 4.03177 2.35954 -2.67912  0.361
C -2.14619 2.04695 1.07563  -0.736
N -2.31878 0.67662 1.52693  0.044
C -3.31153 0.42984 2.56473  -0.925
C -1.38795 -0.18020 1.09446  0.535
O -0.50491 0.40681 0.34466  -0.707
N -1.30000 -1.49426 1.35869  0.210
C -2.39109 -2.26939 1.93455  -1.092
C -0.08725 -2.28067 1.16315  -1.060
H -2.93105 2.65411 1.52196  0.328
H -2.21601 2.10484 -0.01627  0.182
H -1.16575 2.44143 1.36878  0.288
H -4.11828 -0.21051 2.19524  0.328
H -2.85539 -0.01044 3.45821  0.333
H -3.72544 1.40642 2.82218  0.327
H -2.14696 -3.32646 1.76628  0.392
H -2.47006 -2.09904 3.02271  0.332
H -3.35000 -2.04521 1.44166  0.389
H -0.28791 -3.09279 0.45089  0.386
H 0.74847 -1.68078 0.80050  0.151
H 0.19355 -2.73569 2.12285  0.481

Entry 2:
Density functional theory data (ωB97M-V with the def2-TZVPD basis set) for a 6-piece molecular cluster, C13H19F3NO13 overall at a distorted geometry.

As for the energy: -1839.3256 Ha. The calculation puts the LUMO energy at 0.0646 Ha. Its total charge is -1. The relative energy (zero: lowest compared OMol25 entry of this formula, charge and spin) comes out at 16.97 kcal/mol. For the HOMO-LUMO gap, the calculation gives 5.81 eV. The HOMO energy is -4.1 eV. As for the maximum force: 2.8 eV Å⁻¹.

Each line ends with the Mulliken charge.
Positions of all 49 atoms, in Å:
N 1.22312 -0.27400 0.41725  0.045
H 0.75841 0.49844 0.88669  0.220
H 2.11983 0.10571 0.05049  0.402
H 0.62578 -0.65324 -0.32659  0.497
H 1.45069 -0.97106 1.16125  0.331
C 1.90092 -4.41170 3.29022  -1.003
C 2.31985 -3.17306 2.52867  0.637
O 1.49141 -2.21447 2.43434  -0.889
O 3.50193 -3.05683 2.14369  -0.704
H 2.62949 -4.75345 4.02461  0.264
H 1.66890 -5.25184 2.62582  0.234
H 0.94341 -4.34190 3.81600  0.291
-- stop --
8health as it relates to his or her debilitating medical condition or treatment, and if
9a primary caregiver stops helping the registrant use or acquire medical cannabis.
10A registrant who is a primary caregiver shall notify the department if the registrant
11becomes a primary caregiver for an additional qualifying patient and shall include
12with the notice a copy of a written certification or copy of a registration identification
13card for each additional qualifying patient.
SB1035,24,1714 2. If a qualifying patient is a child, a primary caregiver for the child shall
15provide the department with any information that the child, if he or she were an
16adult qualifying patient, would have to provide under subd. 1. within 10 days after
17the date of the change to which the information relates.
SB1035,24,2218 (b) If a registrant fails to notify the department within 10 days after any change
19for which notification is required under par. (a) 1., his or her registry identification
20card is void. If a registrant fails to comply with par. (a) 2., the registry identification
21card for the qualifying patient to whom the information under par. (a) 2. relates is
SB1035,25,223 (c) If a qualifying patient's registry identification card becomes void under par.
24(b), the registry identification card for each of the qualifying patient's primary

1caregivers with regard to that qualifying patient is void. The department shall send
2written notice of this fact to each such primary caregiver.
SB1035,25,3 3(6) Records. (a) The department shall maintain a list of all registrants.
SB1035,25,64 (b) Notwithstanding s. 19.35 and except as provided in par. (c), the department
5may not disclose information from an application submitted or a registry
6identification card issued under this section.
SB1035,25,97 (c) The department may disclose to a law enforcement agency, upon the request
8of the law enforcement agency, only information necessary to verify that a person
9possesses a valid registry identification card.
SB1035,25,10 10(7) Rules. The department shall promulgate rules that do all of the following:
SB1035,25,1111 (a) Create a form for an application under sub. (2).
SB1035,25,1312 (b) Specify how the department will verify under sub. (3) the information
13submitted under sub. (2).
SB1035,25,1514 (bm) Specify how photographs under sub. (4) (c) must be taken and the
15requirements for such photographs.